## Exercise
Could you find the line underneath that holds "0.010", then transcribe that line and all lines after it there?

## Material
********
Model one:
Entry from the Materials Project: an optimized crystal structure of LiSbP4O12 (PBE).

## Properties
Size of the total moment (μB per atom): 0.00
V (Å³ per atom): 13.5

Cell lengths 7.246, 8.817, 16.830 Å; angles 90.00, 114.94, 90.00 degrees
Space group P2_1/c (No. 14)
Unique sites:
1 Li 0.152 0.099 0.136
2 Sb 0.304 0.664 0.897
3 P 0.155 0.036 0.787
4 P 0.156 0.747 0.569
5 P 0.266 0.240 0.437
6 P 0.460 0.535 0.203
7 O 0.025 0.596 0.793
8 O 0.034 0.202 0.410
9 O 0.096 0.735 0.972
10 O 0.109 0.592 0.335
11 O 0.236 0.600 0.613
12 O 0.260 0.173 0.852
13 O 0.298 0.609 0.114
14 O 0.330 0.516 0.260
15 O 0.365 0.134 0.248
16 O 0.366 0.087 0.438
17 O 0.367 0.168 0.018
18 O 0.497 0.619 0.827



Model two:
Entry from the Materials Project: an optimized crystal structure of LiSbP4O12 (PBE).

## Properties
Size of the total moment (μB per atom): 0.00
V (Å³ per atom): 13.9

Cell lengths 10.356, 9.352, 12.581 Å; angles 90.00, 124.89, 90.00 degrees
Space group P2_1/c (No. 14)
Unique sites:
1 Li 0.137 0.054 0.110
2 Sb 0.189 0.703 0.992
3 P 0.107 0.112 0.849
4 P 0.202 0.159 0.536
5 P 0.292 0.608 0.310
6 P 0.488 0.506 0.228
7 O 0.023 0.687 0.771
8 O 0.062 0.011 0.916
9 O 0.111 0.233 0.579
10 O 0.139 0.020 0.460
11 O 0.187 0.660 0.172
12 O 0.225 0.041 0.821
13 O 0.229 0.233 0.951
14 O 0.334 0.705 0.420
15 O 0.343 0.534 0.701
16 O 0.381 0.136 0.659
17 O 0.426 0.622 0.124
18 O 0.455 0.550 0.334



Which of them is the least stable? Correct choice: model one.



Model one:
Entry from the Materials Project: an optimized crystal structure of Li3Sb3P4O16 (PBE).

## Properties
Size of the total moment (μB per atom): 0.00
V (Å³ per atom): 13.0

Cell lengths 6.787, 11.309, 9.122 Å; angles 90.00, 104.95, 90.00 degrees
Space group P2_1 (No. 4)
Unique sites:
1 Li 0.082 0.000 0.152
2 Li 0.180 0.690 0.420
3 Li 0.325 0.897 0.584
4 Sb 0.082 0.413 0.208
5 Sb 0.365 0.619 0.825
6 Sb 0.390 0.187 0.762
7 P 0.084 0.716 0.110
8 P 0.135 0.417 0.583
9 P 0.356 0.169 0.386
10 P 0.480 0.897 0.906
11 O 0.016 0.838 0.034
12 O 0.058 0.845 0.465
13 O 0.059 0.175 0.790
14 O 0.098 0.619 0.993
15 O 0.124 0.502 0.719
16 O 0.168 0.249 0.309
17 O 0.176 0.494 0.452
18 O 0.266 0.879 0.797
19 O 0.296 0.734 0.230
20 O 0.317 0.107 0.528
21 O 0.334 0.342 0.648
22 O 0.370 0.071 0.264
23 O 0.391 0.440 0.204
24 O 0.436 0.282 0.010
25 O 0.439 0.735 0.579
26 O 0.474 0.997 0.023



Model two:
Entry from the Materials Project: an optimized crystal structure of Li3Sb3P4O16 (PBE).

## Properties
Size of the total moment (μB per atom): 0.00
V (Å³ per atom): 14.3

Cell lengths 9.203, 9.258, 13.116 Å; angles 94.41, 90.67, 90.73 degrees
Space group P1 (No. 1)
Unique sites:
1 Li 0.000 0.000 0.000
2 Li 0.001 0.654 0.666
3 Li 0.004 0.354 0.340
4 Li 0.230 0.822 0.040
5 Li 0.238 0.480 0.702
6 Li 0.498 0.296 0.038
7 Li 0.504 0.648 0.371
8 Li 0.732 0.178 0.674
9 Li 0.739 0.818 0.332
10 Sb 0.078 0.074 0.664
11 Sb 0.111 0.720 0.351
12 Sb 0.151 0.408 0.037
13 Sb 0.260 0.111 0.384
14 Sb 0.468 0.961 0.723
15 Sb 0.610 0.916 0.017
16 Sb 0.635 0.563 0.689
17 Sb 0.655 0.245 0.334
18 Sb 0.762 0.513 0.978
19 P 0.297 0.107 0.917
20 P 0.308 0.415 0.254
21 P 0.335 0.733 0.570
22 P 0.413 0.580 0.917
23 P 0.416 0.895 0.235
24 P 0.432 0.261 0.587
25 P 0.807 0.544 0.459
26 P 0.809 0.225 0.122
27 P 0.830 0.896 0.788
28 P 0.905 0.742 0.130
29 P 0.910 0.071 0.457
30 P 0.939 0.370 0.787
31 O 0.015 0.180 0.412
32 O 0.020 0.825 0.077
33 O 0.034 0.474 0.734
34 O 0.192 0.537 0.252
35 O 0.204 0.001 0.969
36 O 0.216 0.654 0.623
37 O 0.224 0.296 0.314
38 O 0.243 0.269 0.932
39 O 0.256 0.844 0.252
40 O 0.264 0.584 0.981
41 O 0.279 0.287 0.623
42 O 0.288 0.072 0.796
43 O 0.324 0.905 0.599
44 O 0.327 0.353 0.140
45 O 0.331 0.706 0.453
46 O 0.386 0.532 0.805
47 O 0.417 0.063 0.273
48 O 0.435 0.201 0.470
49 O 0.436 0.886 0.117
50 O 0.453 0.457 0.304
51 O 0.459 0.110 0.950
52 O 0.479 0.736 0.930
53 O 0.495 0.707 0.611
54 O 0.514 0.474 0.971
55 O 0.516 0.145 0.649
56 O 0.532 0.817 0.290
57 O 0.533 0.394 0.592
58 O 0.699 0.097 0.131
********

## Written answer
24 O 0.436 0.282 0.010
25 O 0.439 0.735 0.579
26 O 0.474 0.997 0.023



Model two:
Entry from the Materials Project: an optimized crystal structure of Li3Sb3P4O16 (PBE).

## Properties
Size of the total moment (μB per atom): 0.00
V (Å³ per atom): 14.3

Cell lengths 9.203, 9.258, 13.116 Å; angles 94.41, 90.67, 90.73 degrees
Space group P1 (No. 1)
Unique sites:
1 Li 0.000 0.000 0.000
2 Li 0.001 0.654 0.666
3 Li 0.004 0.354 0.340
4 Li 0.230 0.822 0.040
5 Li 0.238 0.480 0.702
6 Li 0.498 0.296 0.038
7 Li 0.504 0.648 0.371
8 Li 0.732 0.178 0.674
9 Li 0.739 0.818 0.332
10 Sb 0.078 0.074 0.664
11 Sb 0.111 0.720 0.351
12 Sb 0.151 0.408 0.037
13 Sb 0.260 0.111 0.384
14 Sb 0.468 0.961 0.723
15 Sb 0.610 0.916 0.017
16 Sb 0.635 0.563 0.689
17 Sb 0.655 0.245 0.334
18 Sb 0.762 0.513 0.978
19 P 0.297 0.107 0.917
20 P 0.308 0.415 0.254
21 P 0.335 0.733 0.570
22 P 0.413 0.580 0.917
23 P 0.416 0.895 0.235
24 P 0.432 0.261 0.587
25 P 0.807 0.544 0.459
26 P 0.809 0.225 0.122
27 P 0.830 0.896 0.788
28 P 0.905 0.742 0.130
29 P 0.910 0.071 0.457
30 P 0.939 0.370 0.787
31 O 0.015 0.180 0.412
32 O 0.020 0.825 0.077
33 O 0.034 0.474 0.734
34 O 0.192 0.537 0.252
35 O 0.204 0.001 0.969
36 O 0.216 0.654 0.623
37 O 0.224 0.296 0.314
38 O 0.243 0.269 0.932
39 O 0.256 0.844 0.252
40 O 0.264 0.584 0.981
41 O 0.279 0.287 0.623
42 O 0.288 0.072 0.796
43 O 0.324 0.905 0.599
44 O 0.327 0.353 0.140
45 O 0.331 0.706 0.453
46 O 0.386 0.532 0.805
47 O 0.417 0.063 0.273
48 O 0.435 0.201 0.470
49 O 0.436 0.886 0.117
50 O 0.453 0.457 0.304
51 O 0.459 0.110 0.950
52 O 0.479 0.736 0.930
53 O 0.495 0.707 0.611
54 O 0.514 0.474 0.971
55 O 0.516 0.145 0.649
56 O 0.532 0.817 0.290
57 O 0.533 0.394 0.592
58 O 0.699 0.097 0.131